**To do**
Find the line further down that holds "8.347 -0.729", then quote that line and all lines after it there.

**File**
+++
1.
The following is a quantum chemistry calculation of C31H12Cl100IO5P as an isolated structure in a non-equilibrium geometry, from the OMol25 dataset.

Atoms and positions in Å:
C1 1.925 1.680 -1.899
C2 2.521 0.255 -2.366
C3 1.763 -0.305 -3.667
C4 1.210 -1.799 -3.500
O1 0.458 -2.029 -2.292
P1 -1.189 -2.201 -2.492
O2 -1.677 -2.683 -3.845
O3 -1.675 -3.399 -1.371
O4 -2.050 -0.799 -2.000
C5 -2.085 0.087 -3.150
C6 -2.517 1.577 -2.815
O5 -2.841 1.932 -1.675
I1 -2.538 2.987 -4.503
H1 1.175 1.448 -1.062
H2 1.462 2.281 -2.740
H3 2.761 2.287 -1.426
H4 2.409 -0.460 -1.494
H5 3.639 0.392 -2.583
H6 0.984 0.421 -4.080
H7 2.569 -0.372 -4.485
H8 2.144 -2.466 -3.434
H9 0.705 -2.075 -4.474
H10 -1.006 -3.391 -0.642
H11 -2.800 -0.356 -3.912
H12 -1.040 0.116 -3.595
C7 2.633 4.690 -4.895
Cl1 0.864 4.492 -4.849
Cl2 3.371 3.238 -5.606
Cl3 3.044 6.106 -5.882
Cl4 3.257 4.919 -3.250
C8 -5.803 2.707 0.181
Cl5 -4.451 3.720 0.719
Cl6 -7.256 3.101 1.124
Cl7 -6.114 3.009 -1.541
Cl8 -5.382 0.998 0.422
C9 -1.669 -0.445 2.327
Cl9 -2.827 -1.643 2.937
Cl10 -0.803 0.301 3.693
Cl11 -0.498 -1.245 1.257
Cl12 -2.541 0.806 1.423
C10 -0.080 -5.431 -5.736
Cl13 -1.847 -5.581 -5.757
Cl14 0.648 -6.896 -6.431
Cl15 0.407 -4.017 -6.695
Cl16 0.476 -5.229 -4.060
C11 -1.552 4.440 3.231
Cl17 -2.780 3.351 3.909
Cl18 -0.700 5.269 4.548
Cl19 -0.385 3.496 2.281
Cl20 -2.337 5.641 2.183
C12 -1.107 -3.587 6.401
Cl21 -1.449 -4.938 5.299
Cl22 -0.833 -2.115 5.453
Cl23 -2.490 -3.344 7.488
Cl24 0.342 -3.955 7.360
C13 -6.698 -3.545 3.924
Cl25 -7.029 -4.898 2.824
Cl26 -6.437 -2.064 2.980
Cl27 -8.080 -3.316 5.015
Cl28 -5.242 -3.900 4.879
C14 -1.432 1.123 8.470
Cl29 -0.101 2.168 9.008
Cl30 -2.891 1.490 9.413
Cl31 -1.754 1.413 6.747
Cl32 -0.984 -0.578 8.712
C15 -6.835 7.369 -1.843
Cl33 -5.632 8.402 -2.645
Cl34 -7.892 6.630 -3.069
Cl35 -6.004 6.093 -0.933
Cl36 -7.813 8.347 -0.729
C16 1.110 4.012 -9.166
Cl37 2.855 3.779 -9.394
Cl38 0.785 5.712 -8.773
Cl39 0.255 3.577 -10.660
Cl40 0.544 2.978 -7.838
C17 1.635 7.268 7.496
Cl41 3.038 7.631 6.470
Cl42 1.777 5.616 8.134
Cl43 1.551 8.419 8.848
Cl44 0.167 7.396 6.509
C18 -3.816 -9.180 -7.405
Cl45 -3.773 -10.098 -8.926
Cl46 -4.080 -10.295 -6.049
Cl47 -2.274 -8.330 -7.182
Cl48 -5.139 -7.997 -7.465
C19 -1.144 -9.392 5.415
Cl49 0.312 -9.774 4.471
Cl50 -1.028 -10.152 7.015
Cl51 -1.280 -7.628 5.608
Cl52 -2.577 -10.015 4.571
C20 5.758 8.362 3.353
Cl53 5.402 7.688 4.957
Cl54 4.722 9.775 3.064
Cl55 7.463 8.854 3.281
Cl56 5.437 7.135 2.110
C21 0.025 7.186 -0.707
Cl57 0.254 6.158 0.722
Cl58 -1.665 7.729 -0.789
Cl59 1.094 8.599 -0.588
Cl60 0.418 6.266 -2.174
C22 -8.614 11.250 -4.042
Cl61 -7.257 12.253 -3.490
Cl62 -10.068 11.654 -3.106
Cl63 -8.915 11.557 -5.765
Cl64 -8.217 9.536 -3.806
C23 4.468 -7.155 -5.057
Cl65 3.920 -7.780 -3.488
Cl66 3.542 -5.698 -5.468
Cl67 6.196 -6.754 -4.964
Cl68 4.214 -8.391 -6.307
C24 -0.425 -13.038 10.184
Cl69 1.017 -12.617 9.240
Cl70 -0.240 -14.671 10.855
Cl71 -0.626 -11.873 11.509
Cl72 -1.853 -12.989 9.130
C25 6.424 -9.532 -0.505
Cl73 6.728 -8.932 -2.147
Cl74 4.786 -9.067 0.001
Cl75 6.568 -11.302 -0.485
Cl76 7.611 -8.829 0.613
C26 3.671 -14.179 6.830
Cl77 2.518 -15.381 7.445
Cl78 4.539 -13.440 8.192
Cl79 4.834 -14.973 5.748
Cl80 2.795 -12.919 5.934
C27 -0.622 12.140 -2.473
Cl81 -2.379 11.890 -2.415
Cl82 0.155 10.709 -3.179
Cl83 -0.260 13.564 -3.470
Cl84 -0.006 12.397 -0.828
C28 3.978 0.950 -11.820
Cl85 4.660 -0.302 -12.879
Cl86 3.642 2.411 -12.771
Cl87 2.470 0.355 -11.095
Cl88 5.141 1.334 -10.534
C29 6.083 4.026 -0.404
Cl89 6.011 3.146 -1.945
Cl90 6.011 2.871 0.942
Cl91 7.599 4.945 -0.316
Cl92 4.707 5.144 -0.297
C30 -2.603 -7.565 1.007
Cl93 -4.351 -7.881 1.020
Cl94 -1.755 -8.956 0.300
Cl95 -2.271 -6.114 0.039
Cl96 -2.037 -7.311 2.671
C31 5.753 8.903 9.140
Cl97 4.523 7.810 9.807
Cl98 6.626 9.692 10.470
Cl99 6.898 7.973 8.152
Cl100 4.968 10.138 8.134

Output
HOMO-LUMO gap	10.05	eV

---

2.
The following is a quantum chemistry calculation of a 2-piece molecular cluster, C3H7N2O overall in a non-equilibrium geometry, from the OMol25 dataset.
+++

**Response**
Cl36 -7.813 8.347 -0.729
C16 1.110 4.012 -9.166
Cl37 2.855 3.779 -9.394
Cl38 0.785 5.712 -8.773
Cl39 0.255 3.577 -10.660
Cl40 0.544 2.978 -7.838
C17 1.635 7.268 7.496
Cl41 3.038 7.631 6.470
Cl42 1.777 5.616 8.134
Cl43 1.551 8.419 8.848
Cl44 0.167 7.396 6.509
C18 -3.816 -9.180 -7.405
Cl45 -3.773 -10.098 -8.926
Cl46 -4.080 -10.295 -6.049
Cl47 -2.274 -8.330 -7.182
Cl48 -5.139 -7.997 -7.465
C19 -1.144 -9.392 5.415
Cl49 0.312 -9.774 4.471
Cl50 -1.028 -10.152 7.015
Cl51 -1.280 -7.628 5.608
Cl52 -2.577 -10.015 4.571
C20 5.758 8.362 3.353
Cl53 5.402 7.688 4.957
Cl54 4.722 9.775 3.064
Cl55 7.463 8.854 3.281
Cl56 5.437 7.135 2.110
C21 0.025 7.186 -0.707
Cl57 0.254 6.158 0.722
Cl58 -1.665 7.729 -0.789
Cl59 1.094 8.599 -0.588
Cl60 0.418 6.266 -2.174
C22 -8.614 11.250 -4.042
Cl61 -7.257 12.253 -3.490
Cl62 -10.068 11.654 -3.106
Cl63 -8.915 11.557 -5.765
Cl64 -8.217 9.536 -3.806
C23 4.468 -7.155 -5.057
Cl65 3.920 -7.780 -3.488
Cl66 3.542 -5.698 -5.468
Cl67 6.196 -6.754 -4.964
Cl68 4.214 -8.391 -6.307
C24 -0.425 -13.038 10.184
Cl69 1.017 -12.617 9.240
Cl70 -0.240 -14.671 10.855
Cl71 -0.626 -11.873 11.509
Cl72 -1.853 -12.989 9.130
C25 6.424 -9.532 -0.505
Cl73 6.728 -8.932 -2.147
Cl74 4.786 -9.067 0.001
Cl75 6.568 -11.302 -0.485
Cl76 7.611 -8.829 0.613
C26 3.671 -14.179 6.830
Cl77 2.518 -15.381 7.445
Cl78 4.539 -13.440 8.192
Cl79 4.834 -14.973 5.748
Cl80 2.795 -12.919 5.934
C27 -0.622 12.140 -2.473
Cl81 -2.379 11.890 -2.415
Cl82 0.155 10.709 -3.179
Cl83 -0.260 13.564 -3.470
Cl84 -0.006 12.397 -0.828
C28 3.978 0.950 -11.820
Cl85 4.660 -0.302 -12.879
Cl86 3.642 2.411 -12.771
Cl87 2.470 0.355 -11.095
Cl88 5.141 1.334 -10.534
C29 6.083 4.026 -0.404
Cl89 6.011 3.146 -1.945
Cl90 6.011 2.871 0.942
Cl91 7.599 4.945 -0.316
Cl92 4.707 5.144 -0.297
C30 -2.603 -7.565 1.007
Cl93 -4.351 -7.881 1.020
Cl94 -1.755 -8.956 0.300
Cl95 -2.271 -6.114 0.039
Cl96 -2.037 -7.311 2.671
C31 5.753 8.903 9.140
Cl97 4.523 7.810 9.807
Cl98 6.626 9.692 10.470
Cl99 6.898 7.973 8.152
Cl100 4.968 10.138 8.134

Output
HOMO-LUMO gap	10.05	eV

---

2.
The following is a quantum chemistry calculation of a 2-piece molecular cluster, C3H7N2O overall in a non-equilibrium geometry, from the OMol25 dataset.